Department of Educational Administration


First Advisor

Deryl K. Hatch-Tocaimaza

[Calculated molecules that have nothing to do with the article]
/*
#P
DFT (ωB97M-V/def2-TZVPD) results for an isolated ion of composition C5H8NS and charge +1.

CARTESIAN COORDINATES (ANGSTROEM)
C: 0.430 -1.100 -2.634
C: -0.418 -0.365 -1.724
C: 1.419 -1.691 -1.974
C: -0.298 -0.312 2.024
C: -0.508 0.585 0.855
N: 0.052 -0.432 -0.492
S: 1.507 -1.214 -0.345
H: 0.230 -1.395 -3.702
H: -1.351 0.066 -2.197
H: 2.209 -2.355 -2.299
H: -0.787 -1.214 1.796
H: -0.932 0.052 2.805
H: 0.759 -0.398 2.088
H: 0.123 1.392 0.790
H: -1.598 0.876 0.753

Calculated values
HOMO (eV): -14.76
Net charge: +1
HOMO-LUMO gap (eV): 10.36
LUMO energy (eV): -4.4


#Q
DFT (ωB97M-V/def2-TZVPD) results for an isolated ion of composition C5H8NS and charge +1.

CARTESIAN COORDINATES (ANGSTROEM)
C: -1.870 -1.108 -0.114
C: -0.806 -0.122 0.250
C: -0.025 0.712 -0.973
S: 0.758 2.285 -0.602
C: 1.898 1.439 0.554
C: 1.735 0.164 0.666
N: 0.564 -0.354 -0.229
H: -2.600 -0.669 -0.812
H: -2.366 -1.545 0.722
H: -1.314 -1.902 -0.669
H: -1.041 0.412 1.208
H: -0.320 0.466 -2.002
H: 2.541 2.117 1.214
H: 1.974 -0.682 1.295
H: 0.872 -1.214 -0.508

Calculated values
HOMO (eV): -13.32
Net charge: +1
HOMO-LUMO gap (eV): 10.13
Structure (SMILES): C[C@@H]1[C@H]2SC=C[N@@H+]12
LUMO energy (eV): -3.2


Most stable = #P


#P
DFT (ωB97M-V/def2-TZVPD) results for an isolated ion of composition C5H6N3O and charge +1.

CARTESIAN COORDINATES (ANGSTROEM)
C: -0.370 -1.448 -0.123
C: -0.005 0.002 -0.350
N: 0.474 0.666 0.960
C: 0.120 1.841 1.276
N: 0.341 3.018 1.142
C: 1.575 3.177 0.450
O: 1.896 2.686 -0.553
C: 0.728 -0.189 2.033
N: 0.874 -0.816 2.954
H: -0.490 -1.791 -1.113
H: 0.449 -1.891 0.503
H: -1.228 -1.331 0.500
H: -0.752 0.708 -0.935
H: 0.783 0.171 -1.046
H: 2.207 3.901 1.165

Calculated values
HOMO (eV): -16.19
Net charge: +1
HOMO-LUMO gap (eV): 9.24
Structure (SMILES): CC[N+](=C=NC=O)C#N
LUMO energy (eV): -7.0


#Q
DFT (ωB97M-V/def2-TZVPD) results for an isolated ion of composition C5H6N3O and charge +1.

CARTESIAN COORDINATES (ANGSTROEM)
C: 1.592 0.957 -0.076
N: 1.681 -0.122 0.664
C: 0.268 -0.955 0.805
O: -0.107 -1.926 1.598
N: -1.443 -2.043 1.445
C: -1.830 -1.267 0.441
C: -0.750 -0.514 0.047
C: -0.704 0.650 -0.997
N: 0.594 1.378 -0.785
H: 2.516 1.544 -0.256
H: 2.543 -0.470 1.130
H: -2.881 -1.086 0.205
H: -0.561 0.496 -2.059
H: -1.578 1.098 -0.848
H: 0.661 2.261 -1.314

Calculated values
HOMO (eV): -13.99
Net charge: +1
HOMO-LUMO gap (eV): 10.15
Structure (SMILES): C1=[NH+]c2oncc2CN1
LUMO energy (eV): -3.8


Most stable = #Q


#P
DFT (ωB97M-V/def2-TZVPD) results for a 2-piece molecular cluster, C3H9NO2P overall.

CARTESIAN COORDINATES (ANGSTROEM)
C: 0.158 0.133 1.559
C: -0.301 1.615 -0.286
C: -1.253 -1.671 -0.871
N: 0.771 0.962 0.504
O: 2.172 0.807 -1.697
O: 2.731 -0.921 0.244
P: 1.837 0.008 -0.554
H: -0.218 0.833 2.351
H: -0.532 -0.666 1.208
H: 1.022 -0.342 1.824
H: -1.027 0.892 -0.543
H: -0.726 2.386 0.385
H: 0.047 1.924 -1.188
H: -1.078 -2.217 -1.837
H: -1.339 -2.443 -0.147
H: -2.264 -1.300 -0.951

Calculated values
HOMO (alpha / beta) (eV): -2.75 / -2.75
Net charge: -1
*/
[Here the article continues]

Date of this Version

The piece is interrupted by calculated molecules:
'''
(1)
{
  "formula": "C3H4N2",
  "method": "ωB97M-V with the def2-TZVPD basis set",
  "species": ["N", "C", "C", "C", "N", "H", "H", "H", "H"],
  "positions_angstrom": [[-0.914, -0.505, -0.095], [-0.768, 0.825, 0.212], [0.562, 1.185, 0.414], [1.157, -0.086, 0.204], [0.229, -1.163, -0.103], [-1.742, -0.997, -0.407], [-1.675, 1.424, 0.245], [0.958, -0.576, -0.968], [2.174, -0.423, 0.402]],
  "homo_ha": -0.296,
  "gap_ha": 0.324
}


(2)
{
  "formula": "C3H4N2",
  "method": "ωB97M-V with the def2-TZVPD basis set",
  "species": ["N", "C", "C", "C", "N", "H", "H", "H", "H"],
  "positions_angstrom": [[2.299, 0.944, -0.718], [1.309, 0.345, -0.294], [0.266, -0.282, 0.136], [-1.111, -0.629, -0.155], [-0.700, -0.125, 1.181], [1.983, 1.889, -0.954], [-1.693, 0.080, -0.742], [-1.395, -1.673, -0.258], [-0.637, -0.897, 1.841]],
  "homo_ha": -0.320,
  "gap_ha": 0.356
}


(3)
{
  "formula": "C3H4N2O",
  "method": "ωB97M-V with the def2-TZVPD basis set",
  "species": ["N", "C", "O", "C", "C", "N", "H", "H", "H", "H"],
  "positions_angstrom": [[-0.901, 1.176, 0.115], [-0.764, -0.138, -0.245], [-1.526, -1.038, -0.310], [1.156, -0.811, 0.677], [1.007, -0.444, -0.627], [0.606, -0.051, -1.688], [-1.875, 1.448, 0.116], [-0.297, 1.819, -0.376], [1.572, -0.109, 1.389], [1.021, -1.851, 0.948]],
  "homo_ha": -0.309,
  "gap_ha": 0.326
}


(4)
{
  "formula": "C3H4N2O",
  "method": "ωB97M-V with the def2-TZVPD basis set",
  "species": ["O", "C", "N", "C", "C", "N", "H", "H", "H", "H"],
  "positions_angstrom": [[-0.862, -0.728, -2.127], [-0.456, -0.399, -1.030], [-1.127, 0.274, -0.023], [-0.275, 0.518, 1.057], [0.909, -0.034, 0.758], [0.810, -0.623, -0.487], [-2.127, 0.396, -0.066], [-0.279, 1.424, 1.634], [1.808, 0.018, 1.351], [1.601, -0.846, -1.067]],
  "homo_ha": -0.304,
  "gap_ha": 0.337
}


(5)
{
  "formula": "C3H4N2O",
  "method": "ωB97M-V with the def2-TZVPD basis set",
  "species": ["C", "C", "C", "H", "H", "H", "H", "N", "N", "O"],
  "positions_angstrom": [[0.432, -0.452, -0.263], [-0.596, 0.287, -0.830], [0.583, 0.084, 0.944], [0.228, -1.956, -1.679], [1.132, -2.361, -0.193], [-1.123, 0.245, -1.790], [1.402, -0.079, 1.714], [0.942, -1.592, -0.944], [-1.073, 1.119, 0.017], [-0.405, 0.993, 1.166]],
  "homo_ha": -0.327,
  "gap_ha": 0.357
}


(6)
{
  "formula": "C3H4N2O",
  "method": "ωB97M-V with the def2-TZVPD basis set",
  "species": ["N", "C", "O", "C", "C", "N", "H", "H", "H", "H"],
  "positions_angstrom": [[1.565, 0.590, 0.453], [1.183, -0.601, 0.288], [0.049, -0.930, -0.373], [-0.794, 0.164, -0.722], [-1.906, 0.268, 0.241], [-2.784, 0.334, 0.989], [2.442, 0.643, 0.961], [1.670, -1.522, 0.611], [-1.211, -0.037, -1.710], [-0.213, 1.090, -0.737]],
  "homo_ha": -0.404,
  "gap_ha": 0.433
}


(7)
{
  "formula": "C3H4N2O",
  "method": "ωB97M-V with the def2-TZVPD basis set",
  "species": ["O", "C", "N", "C", "C", "N", "H", "H", "H", "H"],
'''


Document Type



Mardock Uman, N. (2018). A resource-oriented investigation into the community college matriculation and persistence of U.S.-educated English language learners (Doctoral dissertation).


A DISSERTATION Presented to the Faculty of The Graduate College at the University of Nebraska In Partial Fulfillment of Requirements For the Degree of Doctorate of Philosophy, Major: Education Studies (Educational Leadership and Higher Education), Under the Supervision of Professor Deryl K. Hatch-Tocaimaza. Lincoln, Nebraska: October, 2018.

Copyright (c) 2018 Naomi Mardock Uman


The purpose of this qualitative single case study with embedded units of analysis was to provide evidence of the personal, institutional, and community resources leveraged by U.S.-educated English language learners (US-ELLs) to matriculate and persist at community colleges and of how their educational experiences were shaped by community college policies and practices. By considering the experiences of multiple students through in-depth interviews and drawing on additional insight provided by interviews with institutional agents, this resource-oriented investigation into US-ELLs’ matriculation and persistence was designed to counter the prevailing deficit orientation that may limit educational opportunity for US-ELLs at community colleges. The study was guided by the following questions: 1) What resources do US-ELLs describe drawing on to matriculate, navigate through ESL and basic writing courses, and successfully complete a first-level college composition course at a community college? 2) How did students leverage these resources to expand their educational opportunities at a community college? 3) How did community college policies and practices for US-ELLs shape these students’ matriculation and course-taking experiences? Participants included seven US-ELLs who were enrolled in a large public community college in the Midwest and 11 faculty and professional staff members who worked with US-ELLs at that community college. Data was collected at the individual level through two interviews with each student participant and at the institutional level through interviews with the faculty and professional staff and through document review. This study found that three types of Yosso’s (2005) Community Cultural Wealth were most salient for the student participants in this study: aspirational, linguistic and social capital. However, the ways in which US-ELLs leveraged these resources to support their community college matriculation and persistence was influenced by the institutional policies and practices they experienced in the course of matriculation and persistence. Community college policies and practices towards ELLs, specifically those surrounding assessment and placement and ESL course content, materials, and instructional methods, may be limiting the educational opportunities of US-ELLs.

## Data records from another source follow
........
Entry 1:
Formula: C5H10O
Source: the OMol25 dataset
Level of theory: ωB97M-V/def2-TZVPD

For the frontier orbital gap, the calculation gives 9.84 eV. The energy is -7393.152 eV. As for the HOMO energy: -0.32827 Eh. The largest force on an atom comes out at 0.34 eV/Å. Its structure (SMILES) is C=C(C)O.C=C.

Positions of all 16 atoms, in Å:
C1 -1.1683 -1.2956 -1.2012
C2 -1.3400 -0.1970 -0.4636
C3 -1.0011 1.1966 -0.8903
O1 -1.8438 -0.2060 0.8064
H1 -1.4268 -2.2848 -0.8293
H2 -0.7609 -1.2291 -2.2029
H3 -1.9013 1.8206 -0.8894
H4 -0.2860 1.6355 -0.1859
H5 -0.5616 1.2031 -1.8900
H6 -2.0561 -1.1180 1.0469
C4 1.5391 -0.3157 0.9962
C5 2.5819 0.4687 1.2427
H7 1.5191 -0.9965 0.1487
H8 0.6427 -0.2919 1.6123
H9 2.5938 1.1561 2.0852
H10 3.4692 0.4539 0.6142

---

Entry 2:
Formula: C5H10O
Source: the OMol25 dataset
Level of theory: ωB97M-V/def2-TZVPD

For the frontier orbital gap, the calculation gives 10.81 eV. The energy is -7393.664 eV. As for the HOMO energy: -0.35828 Eh. The largest force on an atom comes out at 3.87 eV/Å. Its structure (SMILES) is CCCCC=O.

Positions of all 16 atoms, in Å:
C1 -2.2993 -0.9953 0.8532
C2 -1.1159 -0.0438 0.4559
C3 -0.0777 -0.9184 -0.2114
C4 1.3283 -0.3263 0.2302
C5 1.6295 0.9988 -0.3955
O1 0.9741 1.5497 -1.2451
H1 -2.7906 -1.6435 0.1512
H2 -1.8594 -1.6208 1.6724
H3 -3.0194 -0.2976 1.3844
H4 -0.7685 0.5261 1.3143
H5 -1.5328 0.7637 -0.2060
H6 -0.2057 -0.9435 -1.2871
H7 -0.0674 -1.9664 0.2160
H8 2.1584 -1.0461 0.2578
H9 1.2216 0.0122 1.2746
H10 2.5855 1.4559 -0.0928

---

Entry 3:
Formula: C5H10O
Source: the OMol25 dataset
Level of theory: ωB97M-V/def2-TZVPD

For the frontier orbital gap, the calculation gives 10.00 eV. The energy is -7391.753 eV. As for the HOMO energy: -0.33712 Eh. The largest force on an atom comes out at 3.44 eV/Å. Its structure (SMILES) is CC(=O)C(C)C.

Positions of all 16 atoms, in Å:
C1 -0.1015 -1.9414 -1.0291
C2 -0.4532 -1.1924 0.1536
O1 -1.3098 -1.3889 0.9870
C3 0.1904 0.4663 -0.1061
C4 1.2532 0.5330 0.9780
C5 -0.9348 1.4773 0.1011
H1 0.7322 -1.5492 -1.5946
H2 -0.2539 -2.9877 -1.3654
H3 -0.7767 -0.8105 -1.2506
H4 0.6960 0.7162 -1.0745
H5 2.0721 -0.1696 0.7749
H6 0.8021 0.2691 1.9408
H7 1.6822 1.5389 1.0546
H8 -1.5047 1.2033 0.9944
H9 -1.6333 1.5197 -0.7475
H10 -0.5196 2.4855 0.2429

---

Entry 4:
Formula: C5H10O
Source: the OMol25 dataset
Level of theory: ωB97M-V/def2-TZVPD

For the frontier orbital gap, the calculation gives 10.97 eV. The energy is -7393.076 eV. As for the HOMO energy: -0.36087 Eh. The largest force on an atom comes out at 0.33 eV/Å. Its structure (SMILES) is COCC1CC1.

Positions of all 16 atoms, in Å:
C1 -1.3384 0.2628 1.4697
O1 -0.7995 1.2479 0.6228
C2 -0.6648 0.8842 -0.7343
C3 0.5855 0.0867 -1.0791
C4 1.6374 -0.1237 -0.0343
C5 0.8266 -1.2897 -0.5295
H1 -1.6672 0.7713 2.3794
H2 -2.2042 -0.2420 1.0129
H3 -0.6051 -0.5049 1.7565
H4 -0.6306 1.8334 -1.2760
H5 -1.5661 0.3444 -1.0704
H6 0.9353 0.2574 -2.0959
H7 2.6845 -0.0688 -0.3145
H8 1.4099 0.2825 0.9465
H9 1.3218 -2.0112 -1.1730
........
## End of the data records

Advisor: Deryl K. Hatch-Tocaimaza
